### Job
Next, write out everything below without altering anything.

### Given
~~~
[1]
Entry from the Alexandria database: an optimized crystal structure of ZnCo2Os (PBEsol).

Lattice parameters (Å, degrees): 2.6026 2.6026 7.0520 90.00 90.00 90.00
Fractional positions:
Zn  0.0000  0.0000  0.0000
Co  0.0000  0.0000  0.4724
Co  0.5000  0.5000  0.2481
Os  0.5000  0.5000  0.7139

Summary:
The total magnetization is 0.470 μB/atom.

=====

[2]
Entry from the Alexandria database: an optimized crystal structure of AlZn2Hg (PBEsol).

Lattice parameters (Å, degrees): 8.5168 3.1837 5.0865 90.00 100.20 90.00
Fractional positions:
Al  0.0000  0.0000  0.0000
Al  0.5000  0.5000  0.0000
Zn  0.2475  0.5000  0.2393
Zn  0.4909  0.0000  0.4476
Zn  0.7475  0.0000  0.2393
Zn  0.9909  0.5000  0.4476
Hg  0.2458  0.0000  0.7270
Hg  0.7458  0.5000  0.7270

Summary:
Its energy above the most stable polymorph in this dataset is 0 meV/atom. The total magnetization is 0.000 μB/atom.

=====

[3]
Entry from the Alexandria database: an optimized crystal structure of MnNbAg2Pd (PBEsol).

Lattice parameters (Å, degrees): 4.9841 4.9841 4.2851 90.00 90.00 90.00
Fractional positions:
Mn  0.0000  0.0000  0.0000
Nb  0.0000  0.0000  0.5000
Ag  0.0000  0.5000  0.5000
Ag  0.5000  0.0000  0.5000
Pd  0.5000  0.5000  0.0000

Summary:
The total magnetization is 0.209 μB/atom.

=====

[4]
Entry from the Alexandria database: an optimized crystal structure of KCrMo2 (PBEsol).

Lattice parameters (Å, degrees): 3.1028 3.1028 8.6029 90.00 90.00 90.00
Fractional positions:
K  0.0000  0.0000  0.0000
Cr  0.5000  0.5000  0.6714
Mo  0.0000  0.0000  0.5179
Mo  0.5000  0.5000  0.3525

Summary:
Its energy above the most stable polymorph in this dataset is 102 meV/atom. The total magnetization is 0.702 μB/atom.

=====

[5]
Entry from the Alexandria database: an optimized crystal structure of Fe2TcPt (PBEsol).

Lattice parameters (Å, degrees): 5.2695 8.5752 2.5743 90.00 114.98 90.00
Fractional positions:
Fe  0.2500  0.2500  0.0000
Fe  0.2500  0.7500  0.0000
Fe  0.7500  0.2500  0.0000
Fe  0.7500  0.7500  0.0000
Tc  0.0000  0.0000  0.5000
Tc  0.5000  0.5000  0.5000
Pt  0.0000  0.5000  0.5000
Pt  0.5000  0.0000  0.5000

Summary:
Its energy above the most stable polymorph in this dataset is 185 meV/atom. The total magnetization is 1.356 μB/atom.

=====

[6]
Entry from the Alexandria database: an optimized crystal structure of HWNF2 (PBEsol).

Lattice parameters (Å, degrees): 2.9824 2.9824 4.5707 90.00 90.00 90.00
Fractional positions:
H  0.0000  0.0000  0.0000
W  0.5000  0.5000  0.5000
N  0.0000  0.0000  0.5000
F  0.0000  0.5000  0.0000
F  0.5000  0.0000  0.0000

Summary:
The total magnetization is 0.098 μB/atom.

=====

[7]
Entry from the Alexandria database: an optimized crystal structure of ZrCdRu2 (PBEsol).

Lattice parameters (Å, degrees): 3.2007 4.7791 8.6538 90.00 90.00 90.00
Fractional positions:
Zr  0.0000  0.0000  0.0000
Zr  0.5000  0.5000  0.5000
Cd  0.0000  0.0000  0.5000
Cd  0.5000  0.5000  0.0000
Ru  0.0000  0.5000  0.2616
Ru  0.0000  0.5000  0.7384
Ru  0.5000  0.0000  0.2384
Ru  0.5000  0.0000  0.7616

Summary:
The total magnetization is 0.000 μB/atom.

=====

[8]
Entry from the Alexandria database: an optimized crystal structure of SnS2BrN (PBEsol).

Lattice parameters (Å, degrees): 5.0053 5.0053 3.7578 90.00 90.00 90.00
Fractional positions:
Sn  0.0000  0.0000  0.0000
S  0.0000  0.5000  0.5000
S  0.5000  0.0000  0.5000
Br  0.5000  0.5000  0.5000
N  0.5000  0.5000  0.0000

Summary:
The raw formation energy comes out at 1.0793 eV/atom. The total magnetization is 0.003 μB/atom.

=====

[9]
Entry from the Alexandria database: an optimized crystal structure of ScP3H6O12 (PBEsol).

Lattice parameters (Å, degrees): 9.7639 9.7639 9.7639 50.58 50.58 50.58
Fractional positions:
Sc  0.0000  0.0000  0.0000
Sc  0.5000  0.5000  0.5000
P  0.0867  0.7501  0.4125
P  0.2501  0.5867  0.9125
P  0.4125  0.0867  0.7501
P  0.5867  0.9125  0.2501
P  0.7501  0.4125  0.0867
P  0.9125  0.2501  0.5867
H  0.0362  0.4840  0.1956
H  0.1956  0.0362  0.4840
H  0.4773  0.4775  0.9978
~~~

### Worked solution
[1]
Entry from the Alexandria database: an optimized crystal structure of ZnCo2Os (PBEsol).

Lattice parameters (Å, degrees): 2.6026 2.6026 7.0520 90.00 90.00 90.00
Fractional positions:
Zn  0.0000  0.0000  0.0000
Co  0.0000  0.0000  0.4724
Co  0.5000  0.5000  0.2481
Os  0.5000  0.5000  0.7139

Summary:
The total magnetization is 0.470 μB/atom.

=====

[2]
Entry from the Alexandria database: an optimized crystal structure of AlZn2Hg (PBEsol).

Lattice parameters (Å, degrees): 8.5168 3.1837 5.0865 90.00 100.20 90.00
Fractional positions:
Al  0.0000  0.0000  0.0000
Al  0.5000  0.5000  0.0000
Zn  0.2475  0.5000  0.2393
Zn  0.4909  0.0000  0.4476
Zn  0.7475  0.0000  0.2393
Zn  0.9909  0.5000  0.4476
Hg  0.2458  0.0000  0.7270
Hg  0.7458  0.5000  0.7270

Summary:
Its energy above the most stable polymorph in this dataset is 0 meV/atom. The total magnetization is 0.000 μB/atom.

=====

[3]
Entry from the Alexandria database: an optimized crystal structure of MnNbAg2Pd (PBEsol).

Lattice parameters (Å, degrees): 4.9841 4.9841 4.2851 90.00 90.00 90.00
Fractional positions:
Mn  0.0000  0.0000  0.0000
Nb  0.0000  0.0000  0.5000
Ag  0.0000  0.5000  0.5000
Ag  0.5000  0.0000  0.5000
Pd  0.5000  0.5000  0.0000

Summary:
The total magnetization is 0.209 μB/atom.

=====

[4]
Entry from the Alexandria database: an optimized crystal structure of KCrMo2 (PBEsol).

Lattice parameters (Å, degrees): 3.1028 3.1028 8.6029 90.00 90.00 90.00
Fractional positions:
K  0.0000  0.0000  0.0000
Cr  0.5000  0.5000  0.6714
Mo  0.0000  0.0000  0.5179
Mo  0.5000  0.5000  0.3525

Summary:
Its energy above the most stable polymorph in this dataset is 102 meV/atom. The total magnetization is 0.702 μB/atom.

=====

[5]
Entry from the Alexandria database: an optimized crystal structure of Fe2TcPt (PBEsol).

Lattice parameters (Å, degrees): 5.2695 8.5752 2.5743 90.00 114.98 90.00
Fractional positions:
Fe  0.2500  0.2500  0.0000
Fe  0.2500  0.7500  0.0000
Fe  0.7500  0.2500  0.0000
Fe  0.7500  0.7500  0.0000
Tc  0.0000  0.0000  0.5000
Tc  0.5000  0.5000  0.5000
Pt  0.0000  0.5000  0.5000
Pt  0.5000  0.0000  0.5000

Summary:
Its energy above the most stable polymorph in this dataset is 185 meV/atom. The total magnetization is 1.356 μB/atom.

=====

[6]
Entry from the Alexandria database: an optimized crystal structure of HWNF2 (PBEsol).

Lattice parameters (Å, degrees): 2.9824 2.9824 4.5707 90.00 90.00 90.00
Fractional positions:
H  0.0000  0.0000  0.0000
W  0.5000  0.5000  0.5000
N  0.0000  0.0000  0.5000
F  0.0000  0.5000  0.0000
F  0.5000  0.0000  0.0000

Summary:
The total magnetization is 0.098 μB/atom.

=====

[7]
Entry from the Alexandria database: an optimized crystal structure of ZrCdRu2 (PBEsol).

Lattice parameters (Å, degrees): 3.2007 4.7791 8.6538 90.00 90.00 90.00
Fractional positions:
Zr  0.0000  0.0000  0.0000
Zr  0.5000  0.5000  0.5000
Cd  0.0000  0.0000  0.5000
Cd  0.5000  0.5000  0.0000
Ru  0.0000  0.5000  0.2616
Ru  0.0000  0.5000  0.7384
Ru  0.5000  0.0000  0.2384
Ru  0.5000  0.0000  0.7616

Summary:
The total magnetization is 0.000 μB/atom.

=====

[8]
Entry from the Alexandria database: an optimized crystal structure of SnS2BrN (PBEsol).

Lattice parameters (Å, degrees): 5.0053 5.0053 3.7578 90.00 90.00 90.00
Fractional positions:
Sn  0.0000  0.0000  0.0000
S  0.0000  0.5000  0.5000
S  0.5000  0.0000  0.5000
Br  0.5000  0.5000  0.5000
N  0.5000  0.5000  0.0000

Summary:
The raw formation energy comes out at 1.0793 eV/atom. The total magnetization is 0.003 μB/atom.

=====

[9]
Entry from the Alexandria database: an optimized crystal structure of ScP3H6O12 (PBEsol).

Lattice parameters (Å, degrees): 9.7639 9.7639 9.7639 50.58 50.58 50.58
Fractional positions:
Sc  0.0000  0.0000  0.0000
Sc  0.5000  0.5000  0.5000
P  0.0867  0.7501  0.4125
P  0.2501  0.5867  0.9125
P  0.4125  0.0867  0.7501
P  0.5867  0.9125  0.2501
P  0.7501  0.4125  0.0867
P  0.9125  0.2501  0.5867
H  0.0362  0.4840  0.1956
H  0.1956  0.0362  0.4840
H  0.4773  0.4775  0.9978